(Contents)
-- begin --
## Li6V3P8O29 (PBE+U)

Data for a relaxed structure of Li6V3P8O29.

abc: 9.8362 9.8589 13.9380
angles: 89.74 89.76 60.20
Space group P1 (No. 1)
One atom of each set of equivalent atoms:
Li: 0.0000 0.0000 0.0000 (multiplicity 1)
Li: 0.0002 0.4610 0.4917 (multiplicity 1)
Li: 0.1359 0.4662 0.9980 (multiplicity 1)
Li: 0.1371 0.8685 0.4909 (multiplicity 1)
Li: 0.2326 0.5509 0.6131 (multiplicity 1)
Li: 0.2430 0.1086 0.1756 (multiplicity 1)
Li: 0.2478 0.1069 0.6704 (multiplicity 1)
Li: 0.5929 0.8671 0.9978 (multiplicity 1)
Li: 0.6828 0.6872 0.6141 (multiplicity 1)
Li: 0.6835 0.1006 0.1199 (multiplicity 1)
Li: 0.8142 0.5495 0.1196 (multiplicity 1)
Li: 0.8152 0.0939 0.6110 (multiplicity 1)
V: 0.3447 0.3455 0.8083 (multiplicity 1)
V: 0.3471 0.7690 0.3009 (multiplicity 1)
V: 0.4754 0.2098 0.3108 (multiplicity 1)
V: 0.4784 0.7764 0.8083 (multiplicity 1)
V: 0.9066 0.2123 0.8054 (multiplicity 1)
V: 0.9079 0.3458 0.3089 (multiplicity 1)
P: 0.0011 0.4568 0.7151 (multiplicity 1)
P: 0.0017 0.0075 0.2143 (multiplicity 1)
P: 0.1406 0.4560 0.2137 (multiplicity 1)
P: 0.1409 0.8662 0.7118 (multiplicity 1)
P: 0.2254 0.6932 0.8978 (multiplicity 1)
P: 0.2291 0.5451 0.3972 (multiplicity 1)
P: 0.2410 0.1118 0.9299 (multiplicity 1)
P: 0.2419 0.1091 0.4293 (multiplicity 1)
P: 0.5778 0.4416 0.1826 (multiplicity 1)
P: 0.5780 0.4457 0.6826 (multiplicity 1)
P: 0.5910 0.0083 0.7147 (multiplicity 1)
P: 0.5923 0.8663 0.2154 (multiplicity 1)
P: 0.6763 0.6903 0.3999 (multiplicity 1)
P: 0.6777 0.0942 0.9000 (multiplicity 1)
P: 0.8218 0.0947 0.3973 (multiplicity 1)
P: 0.8228 0.5439 0.8986 (multiplicity 1)
O: 0.0210 0.1530 0.2302 (multiplicity 1)
O: 0.0231 0.2909 0.7304 (multiplicity 1)
O: 0.0922 0.1098 0.8883 (multiplicity 1)
O: 0.0943 0.2640 0.3929 (multiplicity 1)
O: 0.1208 0.5628 0.3057 (multiplicity 1)
O: 0.1243 0.7721 0.8015 (multiplicity 1)
O: 0.1427 0.7861 0.9832 (multiplicity 1)
O: 0.1454 0.5324 0.1230 (multiplicity 1)
O: 0.1514 0.5324 0.4877 (multiplicity 1)
O: 0.1553 0.7760 0.6221 (multiplicity 1)
O: 0.1646 0.8637 0.2156 (multiplicity 1)
O: 0.1669 0.4405 0.7164 (multiplicity 1)
O: 0.2365 0.2647 0.8913 (multiplicity 1)
O: 0.2380 0.1118 0.0376 (multiplicity 1)
O: 0.2414 0.9611 0.3903 (multiplicity 1)
O: 0.2419 0.1111 0.5371 (multiplicity 1)
O: 0.2417 0.6945 0.3965 (multiplicity 1)
O: 0.2475 0.5262 0.8968 (multiplicity 1)
O: 0.2835 0.8895 0.7302 (multiplicity 1)
O: 0.2848 0.2910 0.2295 (multiplicity 1)
O: 0.3859 0.6852 0.8781 (multiplicity 1)
O: 0.3885 0.1127 0.3848 (multiplicity 1)
O: 0.3897 0.3989 0.3815 (multiplicity 1)
O: 0.3941 0.9644 0.8922 (multiplicity 1)
O: 0.4250 0.1516 0.7307 (multiplicity 1)
O: 0.4248 0.8895 0.2300 (multiplicity 1)
O: 0.4275 0.4484 0.7238 (multiplicity 1)
O: 0.4297 0.5914 0.2276 (multiplicity 1)
O: 0.5272 0.2534 0.8792 (multiplicity 1)
O: 0.5271 0.6813 0.3820 (multiplicity 1)
O: 0.5706 0.8606 0.7174 (multiplicity 1)
O: 0.5738 0.2939 0.2249 (multiplicity 1)
O: 0.5770 0.4417 0.0761 (multiplicity 1)
O: 0.5782 0.0290 0.2138 (multiplicity 1)
O: 0.5847 0.5906 0.7230 (multiplicity 1)
O: 0.5861 0.4366 0.5762 (multiplicity 1)
O: 0.6576 0.1183 0.3964 (multiplicity 1)
O: 0.6600 0.6946 0.8968 (multiplicity 1)
O: 0.6623 0.0217 0.9913 (multiplicity 1)
O: 0.6678 0.7744 0.1256 (multiplicity 1)
O: 0.6733 0.7704 0.4904 (multiplicity 1)
O: 0.6788 0.0147 0.6302 (multiplicity 1)
O: 0.6935 0.9855 0.8109 (multiplicity 1)
O: 0.6984 0.7777 0.3065 (multiplicity 1)
O: 0.7239 0.4471 0.2226 (multiplicity 1)
O: 0.7289 0.2927 0.7266 (multiplicity 1)
O: 0.8100 0.3972 0.8815 (multiplicity 1)
O: 0.8176 0.2530 0.3784 (multiplicity 1)
O: 0.8240 0.1120 0.8985 (multiplicity 1)
O: 0.8262 0.5252 0.3952 (multiplicity 1)
O: 0.9072 0.0232 0.1261 (multiplicity 1)
O: 0.9111 0.5338 0.9883 (multiplicity 1)
O: 0.9110 0.9883 0.3058 (multiplicity 1)
O: 0.9125 0.5337 0.6253 (multiplicity 1)
O: 0.9128 0.5642 0.8063 (multiplicity 1)
O: 0.9142 0.0201 0.4868 (multiplicity 1)
O: 0.9915 0.0285 0.7129 (multiplicity 1)
O: 0.9911 0.4378 0.2185 (multiplicity 1)

Output
-- stop --

(Brief)
Now search the lines further up for the word "structure" and write out each line that has it.

(Completed)
Data for a relaxed structure of Li6V3P8O29.